[Entries]
- - -
{
  "formula": "C4H13NO2",
  "method": "ωB97M-V/def2-TZVPD",
  "orbital_gap_ev": 9.83,
  "fmax_ev_per_a": 3.07,
  "mol_weight_g_mol": 107.15,
  "smiles": "C1CCNC1.O.O",
  "total_charge": 0,
  "e_above_lowest_ev": 1.5665,
  "elements": ["O", "O", "N", "C", "C", "C", "C", "H", "H", "H", "H", "H", "H", "H", "H", "H", "H", "H", "H", "H"],
  "positions_angstrom": [[2.55529, 1.51762, -1.47061], [1.92658, -1.78386, 4.63120], [-0.51984, 0.06499, -1.89940], [-1.23616, -1.12361, -1.32221], [-1.45151, 0.72198, 0.20303], [-1.23986, -0.78675, 0.15370], [-1.10915, 1.23840, -1.16844], [-0.40460, 1.98300, -0.99755], [-1.92802, 1.86207, -1.66799], [2.45117, 1.05003, -2.34429], [1.85261, -0.91728, 4.28268], [-2.25112, -1.11618, -1.60563], [-1.89572, -1.40522, 0.75259], [-0.80421, 1.37451, 0.85929], [-0.75128, -2.01651, -1.71863], [2.34826, 2.37632, -1.75836], [-0.15152, -0.98631, 0.43871], [0.43501, -0.10651, -1.55777], [1.56283, -1.73683, 5.49797], [-2.45942, 1.01381, 0.63361]]
}

* * * * *

Formula: C7H9NO3
Source: OMol25
Level of theory: ωB97M-V with the def2-TZVPD basis set

Results
orbital gap	8.74	eV
electronic energy	-15035.009	eV
energy above the lowest of the compared OMol25 structures with the same formula, charge and spin	49.4	kcal/mol
2S+1	1
SMILES	C[N+]1(C)CC(=O)C(C=O)=C1[O-]

Positions of all 20 atoms, in Å:
C (0.895, 1.004, 1.058)
N (0.127, -0.059, 0.165)
C (-1.101, -0.672, 0.711)
C (-0.109, 0.446, -1.206)
C (0.142, -0.769, -2.205)
O (-0.411, -0.756, -3.267)
C (0.875, -1.757, -1.497)
C (1.778, -2.720, -2.074)
O (2.553, -3.415, -1.466)
C (1.015, -1.263, -0.027)
O (1.646, -1.714, 0.891)
H (0.131, 1.825, 1.199)
H (1.432, 0.523, 1.935)
H (1.752, 1.328, 0.402)
H (-1.794, -0.739, -0.074)
H (-0.909, -1.646, 1.214)
H (-1.451, -0.042, 1.475)
H (0.706, 1.091, -1.425)
H (-0.986, 1.170, -1.344)
H (1.645, -2.890, -3.129)

Forces on atoms 1 to 3 (eV/Å):
C 0.0 -0.7 -1.1
N 1.2 0.7 0.6
C 0.6 -0.6 1.5



Formula: C3H6N2O
Source: OMol25
Level of theory: ωB97M-V with the def2-TZVPD basis set

Results
orbital gap	10.80	eV
electronic energy	-8236.329	eV
energy above the lowest of the compared OMol25 structures with the same formula, charge and spin	8.5	kcal/mol
2S+1	1
SMILES	[H]/N=C/NC(C)=O

Positions of all 12 atoms, in Å:
H (-1.645, 2.439, -2.006)
N (-0.975, 1.682, -1.906)
C (-0.957, 1.248, -0.713)
N (-0.093, 0.209, -0.404)
C (0.063, -0.379, 0.837)
C (1.118, -1.465, 0.855)
O (-0.576, -0.034, 1.810)
H (-1.553, 1.597, 0.134)
H (0.458, -0.112, -1.188)
H (1.049, -2.021, 1.790)
H (0.996, -2.149, 0.010)
H (2.114, -1.014, 0.781)

Forces on atoms 1 to 3 (eV/Å):
H 0.0 0.0 0.0
N -0.1 0.0 0.4
C 0.0 0.0 -0.1



Formula: C4H14N2O
Source: OMol25
Level of theory: ωB97M-V with the def2-TZVPD basis set

Results
orbital gap	10.15	eV
electronic energy	-9400.166	eV
energy above the lowest of the compared OMol25 structures with the same formula, charge and spin	79.4	kcal/mol
2S+1	1
SMILES	CN[C@@H](C)CN.O

Positions of all 21 atoms, in Å:
C (1.423, 2.264, -1.155)
N (0.325, 1.292, -1.721)
C (-0.327, 0.472, -0.683)
C (-1.472, -0.558, -1.211)
C (0.775, -0.293, 0.090)
N (0.503, -1.425, 0.991)
H (1.036, 3.330, -1.552)
H (1.491, 2.436, -0.030)
H (2.413, 1.969, -1.620)
H (-0.301, 2.093, -2.031)
H (-0.990, 1.156, 0.090)
H (-2.184, -0.871, -0.425)
H (-0.991, -1.441, -1.792)
H (-1.997, -0.095, -2.003)
H (1.500, -0.630, -0.565)
H (1.056, 0.506, 0.922)
H (1.379, -2.029, 1.153)
H (-0.037, -2.085, 0.361)
O (-1.164, -1.960, 4.160)
H (-1.864, -2.328, 3.559)
H (-0.575, -1.802, 3.459)

Forces on atoms 1 to 3 (eV/Å):
C -0.9 1.3 -1.0
N 0.0 2.5 0.9
C -3.2 -0.5 1.8



Formula: C4H2O2Pd
Source: OMol25
Level of theory: ωB97M-V with the def2-TZVPD basis set

Results
orbital gap (alpha / beta)	8.23 / 7.39	eV
electronic energy	-11745.329	eV
energy above the lowest of the compared OMol25 structures with the same formula, charge and spin	0.0	kcal/mol
2S+1	3
expectation value of S²	2.033

Positions of all 9 atoms, in Å:
H (0.955, -2.332, -0.633)
C (0.637, -1.354, -0.262)
C (-0.616, -0.978, -0.035)
- - -

[Request]
Write out the lines further up from the one with "all 12" to the one with "-1.906)" exactly.

[Outcome]
Positions of all 12 atoms, in Å:
H (-1.645, 2.439, -2.006)
N (-0.975, 1.682, -1.906)